• Source:
Theoretical powder X-ray diffraction pattern of Ba4NaSr7 for Cu Kα, 1.54184 Å, from a DFT-relaxed cell (GGA-PBE, Alexandria).

Main lines, by angle (2θ = 15–90°):
| two_theta | Rel. int. | index |
| --- | --- | --- |
| 25.25 | 100 | 1 0 4 |
| 25.40 | 28 | 0 0 12 |
| 29.28 | 65 | 0 1 8 |
| 41.78 | 26 | 1 1 0 |
| 41.98 | 19 | 1 0 16 |
| 49.50 | 42 | 0 2 4 |
| 49.71 | 10 | 0 1 20 |
| 51.83 | 14 | 2 0 8 |
| 66.68 | 13 | 2 1 4 |
| 68.68 | 12 | 1 2 8 |

Structural model:
Cell lengths 4.324, 4.324, 42.077 Å; angles 90.00, 90.00, 120.00 degrees
Fractional positions:
Ba 0.333 0.667 0.160
Ba 0.333 0.667 0.414
Ba 0.667 0.333 0.586
Ba 0.667 0.333 0.840
Na 0.000 0.000 0.000
Sr 0.000 0.000 0.246
Sr 0.000 0.000 0.500
Sr 0.000 0.000 0.754
Sr 0.333 0.667 0.672
Sr 0.333 0.667 0.925
Sr 0.667 0.333 0.075
Sr 0.667 0.333 0.328

----------

The following is a simulated powder XRD pattern of CsKRuI6. It was derived from the GGA-PBE geometry in Alexandria, using Cu Kα, 1.54184 Å.
Kinematic intensities with the Lorentz-polarization factor, no thermal factor.

Main lines, low angle first (10° ≤ 2θ ≤ 90°):
| Position (°2θ) | d [Å] | I/Imax |
| --- | --- | --- |
| 11.90 | 7.435 | 62 |
| 17.10 | 5.184 | 51 |
| 24.11 | 3.691 | 100 |
| 32.37 | 2.766 | 56 |
| 34.23 | 2.619 | 77 |
| 36.24 | 2.478 | 22 |
| 40.66 | 2.219 | 18 |
| 43.03 | 2.102 | 17 |
| 49.84 | 1.830 | 26 |
| 55.34 | 1.660 | 21 |

Structure:
a b c (Å): 8.5856 8.5856 7.2320
angles (deg): 90.00 90.00 120.00
Atoms (fractional coordinates):
1 Cs 0.0000 0.0000 0.0000
2 K 0.3333 0.6667 0.5000
3 Ru 0.6667 0.3333 0.5000
4 I 0.4153 0.0707 0.7200
5 I 0.4153 0.3446 0.2799
6 I 0.6554 0.0707 0.2799
7 I 0.6554 0.5847 0.7200
8 I 0.9293 0.3446 0.7200
9 I 0.9293 0.5847 0.2799

• Wanted:
Say how many lines of the notes earlier on hold the word "positions", as a bare number.

• Outcome:
1